File
(1)
Molecular formula: C44H29BrCl2F5GeN2O3RuSe
Method: DFT, wB97M-V/def2-TZVPD

net charge	-1
energy relative to the best compared isomer or geometry (same formula, charge and spin)	21.037	eV
LUMO (spin up / spin down)	1.75 / 1.75	eV
orbital gap (spin up / spin down)	5.663 / 5.661	eV
E	-288319.625	eV
molar mass	1132.17	u

Structure (XYZ):
```
89
Properties=species:S:1:pos:R:3:forces:R:3
Ru -0.60054 0.05402 0.21105 0.219 0.070 -0.264
O -2.35051 5.02303 -3.12165 -0.005 -0.006 0.011
C -2.00842 3.90333 -2.44092 0.010 -0.023 0.006
C -0.94578 3.08753 -2.81000 0.009 0.001 -0.012
C -0.68744 1.96632 -2.05374 -0.073 0.016 -0.058
N -1.39626 1.63477 -0.96336 0.068 -0.298 -0.079
C -2.41427 2.42235 -0.63186 -0.071 0.018 0.048
Br -3.45148 1.96315 0.87400 0.105 -0.023 -0.091
C -2.76503 3.56127 -1.33290 -0.028 0.028 0.001
H -1.75918 5.13561 -3.87337 0.007 -0.006 0.002
H -0.33719 3.30695 -3.67817 0.001 -0.002 0.003
H 0.09795 1.27153 -2.31438 -0.007 0.003 -0.010
H -3.60365 4.16720 -1.02738 -0.001 -0.007 0.002
F -5.32522 -4.35198 -3.18732 0.029 0.016 0.004
C -4.17478 -3.72985 -2.89152 -0.034 -0.002 0.003
C -4.15367 -2.36858 -2.65683 -0.016 0.009 0.000
F -5.29454 -1.66639 -2.72777 0.015 -0.012 -0.002
C -2.95977 -1.73921 -2.35711 0.024 0.036 0.053
F -3.01697 -0.41427 -2.15293 0.038 0.016 0.023
C -1.74933 -2.41550 -2.26791 0.041 -0.138 0.108
Se -0.09556 -1.58901 -1.80297 -0.210 0.190 0.037
C -1.81150 -3.78406 -2.51672 0.043 0.017 -0.029
F -0.70136 -4.53069 -2.46709 -0.027 0.016 -0.045
C -2.99117 -4.43878 -2.82250 0.026 -0.051 -0.004
F -2.99717 -5.76128 -3.05211 0.000 0.031 0.009
C 0.69911 0.83843 0.92770 -0.182 0.434 0.002
Ge 1.83639 0.51638 2.43223 0.194 -0.068 0.186
C 0.51977 0.37171 3.86742 0.116 0.029 0.078
C 0.36072 -0.74173 4.68017 -0.094 -0.015 -0.014
C -0.65500 -0.79706 5.62459 0.049 0.002 -0.026
C -1.53683 0.26848 5.75297 -0.018 -0.025 0.041
C -1.39981 1.37842 4.93361 -0.001 0.056 -0.055
C -0.37903 1.43019 3.99107 0.038 -0.049 0.127
C 3.05545 -1.10000 2.09406 -0.539 -0.613 1.400
C 2.51067 -1.72839 0.79068 0.890 0.060 -0.032
C 2.84899 -2.83927 1.30986 -1.303 0.454 -1.171
C 5.06773 -4.02443 1.69486 0.207 0.066 -0.681
C 5.11724 -3.81994 4.23657 -0.584 0.362 -0.744
C 3.69978 -1.64001 3.18187 -1.257 0.416 -1.813
C 3.06017 1.98537 2.85571 0.053 -0.066 -0.028
C 4.12875 2.28230 2.01041 0.012 0.021 -0.008
C 5.02695 3.29249 2.32434 -0.012 0.002 0.006
C 4.86756 4.02128 3.49580 0.007 -0.001 -0.013
C 3.80992 3.73573 4.34661 -0.015 0.007 0.009
C 2.91354 2.72260 4.02882 0.015 0.021 0.002
H 1.00649 -1.59340 4.53840 0.104 -0.084 0.049
H -0.75902 -1.67473 6.25313 -0.001 -0.003 0.002
H -2.33746 0.22767 6.48186 0.010 -0.003 -0.003
H -2.09842 2.20314 5.01284 0.004 -0.014 0.003
H -0.30462 2.28823 3.33350 0.001 0.008 -0.012
H 2.02774 -1.14012 0.02996 -0.150 -0.084 0.035
H 4.73283 -3.85536 0.68545 0.357 -0.085 -0.076
H 5.93812 -4.39470 2.22068 0.037 0.003 -0.798
H 4.83849 -4.62406 4.88838 -0.197 0.056 -0.051
H 5.92559 -3.11200 4.26803 0.084 -0.129 0.250
H 4.26919 1.71496 1.09659 -0.005 -0.011 -0.005
H 5.85308 3.50816 1.65787 -0.002 0.000 0.004
H 5.56936 4.80752 3.74593 -0.004 -0.003 -0.003
H 3.68326 4.29944 5.26304 0.002 -0.002 -0.004
H 2.09447 2.50112 4.70396 0.015 -0.003 0.002
Cl 4.11575 -3.49338 2.86736 2.534 -0.348 4.841
C 2.64755 -4.36583 3.25162 -1.113 -0.822 -1.112
C 3.75583 -1.08258 4.49862 0.575 0.285 0.279
C 3.50426 -1.56206 5.73475 -0.055 0.151 -0.227
C 2.83801 -2.73366 6.27061 0.105 0.447 -0.437
C 2.05056 -3.64688 5.68138 0.205 -0.197 0.034
Cl 1.15202 -4.61014 6.87106 -0.023 -0.117 -0.087
C 1.84294 -4.12125 4.30242 -0.488 0.302 0.063
N 0.48786 -4.60249 4.09900 0.287 0.049 0.292
C 0.06519 -5.06365 2.83108 -0.106 0.175 -0.125
C 0.65478 -6.22047 2.32005 -0.066 -0.042 -0.001
C 0.30262 -6.71794 1.08147 0.002 -0.002 0.031
C -0.66676 -6.07056 0.32569 -0.032 -0.005 -0.009
C -1.27735 -4.94419 0.84071 0.015 0.029 0.006
C -0.92923 -4.41584 2.08635 0.022 -0.013 -0.021
C -1.69164 -3.17198 2.51314 0.017 -0.044 -0.107
C -1.36847 -1.96628 1.64534 -0.146 0.137 0.080

To do
Retype everything earlier on word for word, please.

Response
(1)
Molecular formula: C44H29BrCl2F5GeN2O3RuSe
Method: DFT, wB97M-V/def2-TZVPD

net charge	-1
energy relative to the best compared isomer or geometry (same formula, charge and spin)	21.037	eV
LUMO (spin up / spin down)	1.75 / 1.75	eV
orbital gap (spin up / spin down)	5.663 / 5.661	eV
E	-288319.625	eV
molar mass	1132.17	u

Structure (XYZ):
```
89
Properties=species:S:1:pos:R:3:forces:R:3
Ru -0.60054 0.05402 0.21105 0.219 0.070 -0.264
O -2.35051 5.02303 -3.12165 -0.005 -0.006 0.011
C -2.00842 3.90333 -2.44092 0.010 -0.023 0.006
C -0.94578 3.08753 -2.81000 0.009 0.001 -0.012
C -0.68744 1.96632 -2.05374 -0.073 0.016 -0.058
N -1.39626 1.63477 -0.96336 0.068 -0.298 -0.079
C -2.41427 2.42235 -0.63186 -0.071 0.018 0.048
Br -3.45148 1.96315 0.87400 0.105 -0.023 -0.091
C -2.76503 3.56127 -1.33290 -0.028 0.028 0.001
H -1.75918 5.13561 -3.87337 0.007 -0.006 0.002
H -0.33719 3.30695 -3.67817 0.001 -0.002 0.003
H 0.09795 1.27153 -2.31438 -0.007 0.003 -0.010
H -3.60365 4.16720 -1.02738 -0.001 -0.007 0.002
F -5.32522 -4.35198 -3.18732 0.029 0.016 0.004
C -4.17478 -3.72985 -2.89152 -0.034 -0.002 0.003
C -4.15367 -2.36858 -2.65683 -0.016 0.009 0.000
F -5.29454 -1.66639 -2.72777 0.015 -0.012 -0.002
C -2.95977 -1.73921 -2.35711 0.024 0.036 0.053
F -3.01697 -0.41427 -2.15293 0.038 0.016 0.023
C -1.74933 -2.41550 -2.26791 0.041 -0.138 0.108
Se -0.09556 -1.58901 -1.80297 -0.210 0.190 0.037
C -1.81150 -3.78406 -2.51672 0.043 0.017 -0.029
F -0.70136 -4.53069 -2.46709 -0.027 0.016 -0.045
C -2.99117 -4.43878 -2.82250 0.026 -0.051 -0.004
F -2.99717 -5.76128 -3.05211 0.000 0.031 0.009
C 0.69911 0.83843 0.92770 -0.182 0.434 0.002
Ge 1.83639 0.51638 2.43223 0.194 -0.068 0.186
C 0.51977 0.37171 3.86742 0.116 0.029 0.078
C 0.36072 -0.74173 4.68017 -0.094 -0.015 -0.014
C -0.65500 -0.79706 5.62459 0.049 0.002 -0.026
C -1.53683 0.26848 5.75297 -0.018 -0.025 0.041
C -1.39981 1.37842 4.93361 -0.001 0.056 -0.055
C -0.37903 1.43019 3.99107 0.038 -0.049 0.127
C 3.05545 -1.10000 2.09406 -0.539 -0.613 1.400
C 2.51067 -1.72839 0.79068 0.890 0.060 -0.032
C 2.84899 -2.83927 1.30986 -1.303 0.454 -1.171
C 5.06773 -4.02443 1.69486 0.207 0.066 -0.681
C 5.11724 -3.81994 4.23657 -0.584 0.362 -0.744
C 3.69978 -1.64001 3.18187 -1.257 0.416 -1.813
C 3.06017 1.98537 2.85571 0.053 -0.066 -0.028
C 4.12875 2.28230 2.01041 0.012 0.021 -0.008
C 5.02695 3.29249 2.32434 -0.012 0.002 0.006
C 4.86756 4.02128 3.49580 0.007 -0.001 -0.013
C 3.80992 3.73573 4.34661 -0.015 0.007 0.009
C 2.91354 2.72260 4.02882 0.015 0.021 0.002
H 1.00649 -1.59340 4.53840 0.104 -0.084 0.049
H -0.75902 -1.67473 6.25313 -0.001 -0.003 0.002
H -2.33746 0.22767 6.48186 0.010 -0.003 -0.003
H -2.09842 2.20314 5.01284 0.004 -0.014 0.003
H -0.30462 2.28823 3.33350 0.001 0.008 -0.012
H 2.02774 -1.14012 0.02996 -0.150 -0.084 0.035
H 4.73283 -3.85536 0.68545 0.357 -0.085 -0.076
H 5.93812 -4.39470 2.22068 0.037 0.003 -0.798
H 4.83849 -4.62406 4.88838 -0.197 0.056 -0.051
H 5.92559 -3.11200 4.26803 0.084 -0.129 0.250
H 4.26919 1.71496 1.09659 -0.005 -0.011 -0.005
H 5.85308 3.50816 1.65787 -0.002 0.000 0.004
H 5.56936 4.80752 3.74593 -0.004 -0.003 -0.003
H 3.68326 4.29944 5.26304 0.002 -0.002 -0.004
H 2.09447 2.50112 4.70396 0.015 -0.003 0.002
Cl 4.11575 -3.49338 2.86736 2.534 -0.348 4.841
C 2.64755 -4.36583 3.25162 -1.113 -0.822 -1.112
C 3.75583 -1.08258 4.49862 0.575 0.285 0.279
C 3.50426 -1.56206 5.73475 -0.055 0.151 -0.227
C 2.83801 -2.73366 6.27061 0.105 0.447 -0.437
C 2.05056 -3.64688 5.68138 0.205 -0.197 0.034
Cl 1.15202 -4.61014 6.87106 -0.023 -0.117 -0.087
C 1.84294 -4.12125 4.30242 -0.488 0.302 0.063
N 0.48786 -4.60249 4.09900 0.287 0.049 0.292
C 0.06519 -5.06365 2.83108 -0.106 0.175 -0.125
C 0.65478 -6.22047 2.32005 -0.066 -0.042 -0.001
C 0.30262 -6.71794 1.08147 0.002 -0.002 0.031
C -0.66676 -6.07056 0.32569 -0.032 -0.005 -0.009
C -1.27735 -4.94419 0.84071 0.015 0.029 0.006
C -0.92923 -4.41584 2.08635 0.022 -0.013 -0.021
C -1.69164 -3.17198 2.51314 0.017 -0.044 -0.107
C -1.36847 -1.96628 1.64534 -0.146 0.137 0.080